Marriage Magic Tip: Getting In Touch With Your Senses
Mindbody Wellness
Dear Awesome Woman,
As a woman, you may be so busy in your mind and in your actions, that you forget to breathe consciously as well as constrict certain muscles in your body. Getting present with your senses brings a sense of safety to your body, your mind and your heart. This takes you out of feeling like you are being chased by a lion, living in a state of constant fight/flight and enhances your intuition so you can be wise and kind to yourself and others. Your body (as well as your marriage) will be healthier too!
Here’s a few tips for Mindbody awareness and for getting in touch with your senses:
Misplaced molecular data
'''
No. 1
{
  "formula": "C31H42IN6RuSi2",
  "method": "ωB97M-V with the def2-TZVPD basis set",
  "symbols": ["Ru", "C", "C", "C", "C", "C", "C", "C", "N", "N", "C", "C", "C", "C", "C", "C", "N", "C", "C", "C", "C", "C", "C", "N", "H", "H", "H", "H", "H", "H", "H", "H", "H", "H", "H", "H", "H", "H", "H", "H", "H", "H", "H", "H", "C", "Si", "C", "C", "N", "C", "C", "C", "C", "C", "C", "N", "Si", "C", "C", "C", "H", "H", "H", "H", "H", "H", "H", "H", "H", "H", "H", "H", "H", "H", "H", "H", "H", "H", "H", "H", "H", "H", "I"],
'''
End of the molecular data
1. A Quick Sense Spot Meditation:
Close your eyes and notice what you are hearing. Throw your hearing out in all directions as far as it can go. Just listen.
Breathe in and feel your breath being inhaled and exhaled.
Sense what your clothes feel like on your body. Also, sense the way your body feels in the chair you are sitting on. Feel your feet on the ground. If you’re outside, notice the sun on your face, the breeze passing you by.
Taste what you taste in your mouth.
Open your eyes slowly and take in what you see with a wide, relaxed vision.
2. Sticker Breathing:
The piece is interrupted by calculated molecules:
=====
1.
Entry from the OMol25 dataset: a structure of composition C18H38N2O2Rb (the ωB97M-V functional and the def2-TZVPD basis).

Structure (XYZ):
```
61
Properties=species:S:1:pos:R:3:forces:R:3
Rb -0.576 0.184 0.902 5.072 -5.118 4.390
C -0.503 2.325 -2.524 0.184 1.021 -0.847
C 0.520 1.712 -1.565 1.109 -1.327 -0.659
C 2.039 1.750 -1.956 -0.469 1.313 -0.305
C 2.692 3.103 -1.827 0.359 1.617 0.193
C 2.459 3.733 -0.425 -0.921 -1.162 -0.946
C 0.961 3.631 0.055 2.459 0.516 0.412
N 0.468 2.266 -0.214 2.949 0.884 -0.016
O -0.630 2.013 0.533 -2.843 14.439 -3.277
C 1.066 3.902 1.585 0.048 -0.242 -0.323
C 0.179 4.747 -0.588 -1.324 0.469 -0.470
C 0.200 0.184 -1.614 1.887 3.906 -0.280
H -0.764 1.739 -3.405 0.064 -0.633 0.325
H -0.198 3.250 -3.013 0.270 0.221 0.431
H -1.432 2.557 -2.003 -0.146 -0.082 0.059
H 2.678 1.175 -1.286 -0.695 -0.861 0.070
H 2.137 1.395 -2.982 0.044 -0.216 0.049
H 2.479 3.832 -2.608 -0.643 -0.112 -0.173
H 3.769 2.986 -1.948 0.133 -0.175 0.073
H 2.721 4.791 -0.414 0.270 -0.164 0.107
H 3.085 3.139 0.241 -0.011 0.312 0.395
H 1.548 4.865 1.751 -0.401 0.281 -0.253
H 0.106 3.869 2.100 0.081 0.078 0.010
H 1.787 3.241 2.067 -0.310 -0.555 -0.079
H 0.458 5.741 -0.239 0.271 -0.180 0.197
H 0.178 4.801 -1.677 0.461 -0.248 0.022
H -0.880 4.661 -0.347 -0.280 0.005 0.222
H 0.830 -0.398 -0.941 0.184 -0.163 -0.490
H 0.278 -0.149 -2.649 0.516 0.074 -0.017
H -0.847 -0.020 -1.393 1.994 5.044 0.729
H -1.367 2.494 0.149 -0.846 1.196 -0.201
C -1.775 -1.383 -1.347 -2.058 -3.423 -0.015
C -1.468 -2.493 -0.260 -0.031 -0.714 -0.670
C -0.223 -3.297 -0.783 -0.581 1.246 0.662
C 0.533 -4.164 0.202 -0.632 -0.897 -0.105
C 0.862 -3.343 1.444 1.144 0.779 -2.377
C -0.319 -2.611 1.987 0.216 -0.727 4.676
N -1.095 -1.830 1.020 -1.288 -9.558 -0.376
O -2.139 -1.144 1.640 -2.243 -2.146 0.678
C -1.124 -3.662 2.858 -1.615 0.584 -1.054
C 0.213 -1.606 3.117 -0.353 -0.097 -0.339
C -2.626 -3.501 -0.202 -0.739 0.678 0.791
H -0.869 -0.875 -1.676 -2.390 -5.745 -1.064
H -2.494 -0.591 -1.136 -0.151 0.160 0.954
H -2.311 -1.834 -2.183 0.322 -0.481 -0.170
H -0.641 -3.905 -1.586 0.549 0.298 -0.406
H 0.490 -2.524 -1.066 0.113 -0.237 -0.848
H 1.396 -4.527 -0.357 0.430 0.229 0.360
H -0.011 -5.095 0.363 -0.282 0.031 0.557
H 1.489 -2.560 1.018 0.514 0.376 -0.086
H 1.535 -3.794 2.173 -0.685 -0.274 0.273
H -0.722 -4.190 3.722 0.974 0.459 -0.271
H -1.964 -3.113 3.284 -0.350 -0.094 0.162
H -1.554 -4.437 2.223 -0.006 -0.024 -0.072
H -0.617 -1.049 3.550 -0.087 0.156 -0.193
H 0.649 -2.082 3.996 0.078 -0.579 -0.397
H 0.968 -0.900 2.772 0.095 -0.012 -0.154
H -3.369 -3.042 0.450 -0.559 -0.217 -0.106
H -2.431 -4.489 0.215 0.484 0.138 0.024
H -3.094 -3.653 -1.175 0.134 0.137 0.003
H -2.733 -1.821 1.973 -0.469 -0.184 0.213
```
Positions in Å, forces in eV/Å.

Computed properties:
Charge: +1
E_HOMO (eV): -11.30
2S+1: 1
LUMO level (eV): -2.4
Electronic energy (eV): -26994.0493

=====

2.
Entry from the OMol25 dataset: a structure of composition C18H38OP2Tc (the ωB97M-V functional and the def2-TZVPD basis).
=====
Back to the piece:
To get into the present moment, put a few stickers on places throughout your home. A few times a day (you decide on a number — 3- 5 would be terrific) take a pause when you come across the sticker, and breathe a deep inhale in and release. You can also bring your arms over your head, curl your fingers onto the top of your crown (it makes a heart shape) and get that expansion in your chest. Relax any parts of you that are holding tight. Pay particular awareness to your stomach and back area where you may tend to hold tension.
3. Mindbody Awareness:
Notice what your body is telling you when you are interacting with your husband. Does your stomach clench, your breath constrict, your jaw clench? These are actual emotional responses being conveyed to you through your physical sensations. You can put your hand on those places which allows the energy to flow instead of getting stuck. Getting professional guidance is helpful to understand what your mind and body are telling you. How you may be interpreting things can stem from childhood wounding, trauma, past resentments, misunderstandings etc. There is a vast range of things that can be happening in your Mindbody system at once. But the first step is awareness that your body is speaking to you.
4. Bring an Angel in to Help:
When there is something important to speak to your spouse about or if there is a conflict going on, try to bring a compassionate angel into your imagination. Your imagination is a powerful tool for living. As you may have done before, when you imagine the worst case scenarios, your body will be in fear as if that event is happening at the moment. So you can also use your imagination for good too! Imagining that there is a spiritual figure that is higher than this physical world — seeing and understanding everything, uplifts the situation that you are in at the moment. Your energy will shift (you will feel safer) and that will help bring wise words for you to speak. Your spouse will also feel safer — energy is tangible. When we are scared or angry (and sometimes we need to be to set boundaries), dialogue can be confrontational. Bringing an angel into your imagination can create a more peaceful solution.
A version of this article was also published in Nishei Magazine for Jewish Women
Need a helping hand? I’m a Somatic Healer, Clarity Coach and Relationship Expert, helping to empower women to trust themselves through the wisdom of their bodies and intuition. Marriage Magic, career decisions, goal setting, toxic relationship healing, emotional and physical pain relief, and trauma processing can all be accomplished through an integrated somatic process over the phone. I welcome you to schedule a Free 20-minute Clarity Call as well as download a free gift eguide: “3 Secrets to Solve Burnout and Get Energized the Mindbody Wellness” Way’ . You can also visit MiriamRacquel.com to get started on your Mindbody Wellness journey for health, healing and relationship tips today.
Here’s what a happy client has to say:
I reached out to Miriam Racquel shortly after I had just gotten married as my marriage was not turning out to be the fairytale I had always dreamed it to be. Within just a few sessions I began feeling so empowered to make positive, lasting changes in my marriage that I had control over, and the wisdom I have accessed through Miriam Racquel’s help has truly transformed my marriage into the playful, passionate one that I have always desired. I love the mind-body healing work that Miriam Racquel infuses into her sessions. These practices have allowed me to release my emotions in a powerful way and give me a great sense of relief, validation, and confidence to help me move forward with love.
- N.C.G., Atlanta, Georgia
Sending love and blessings,
Miriam Racquel (Meryl)
Somatic Healer & Clarity Coach